Please transcribe everything further below verbatim.

- - -
No. 1
A 2-piece molecular cluster, C2H2IN overall at a distorted geometry. Source: OMol25; level of theory: ωB97M-V/def2-TZVPD.

The geometry in XYZ format:
```
6
Properties=species:S:1:pos:R:3:forces:R:3
C -0.84409 -1.01220 0.10024 0.000 1.530 0.886
C -0.61765 0.32528 -0.14406 1.872 -2.582 -6.068
N -1.12082 -2.06394 0.46214 -0.298 -1.732 0.151
I 3.54292 1.21562 0.32923 -0.841 -0.217 -0.092
H -0.58982 1.05296 0.53822 -0.118 2.657 2.565
H -0.37054 0.48228 -1.28577 -0.615 0.344 2.558
```
Forces are in eV/Å.

Output
* DFT total energy: -429.6814 hartree
* Kohn-Sham gap (spin up / spin down): 0.1352 / 0.1350 hartree
* HOMO energy (spin up / spin down): -0.3091 / -0.3088 Ha
* molar mass: 166.9 g/mol
* spin multiplicity: 1
* total charge: 0

Results of the natural (NBO) charge analysis, in e, for atoms 1 through 4: atom 1 (C): 0.150, atom 2 (C): -0.231, atom 3 (N): -0.166, atom 4 (I): -0.236

=====

No. 2
C2H7O2Si2 as an isolated structure at a distorted geometry. Source: OMol25; level of theory: ωB97M-V/def2-TZVPD.

The geometry in XYZ format:
```
13
Properties=species:S:1:pos:R:3:forces:R:3
C 0.42026 1.50084 0.04754 1.260 -0.292 0.234
C -0.38274 0.20507 0.06817 -2.060 0.919 -1.517
O 1.25362 1.40671 -0.96189 -0.587 0.225 0.337
O 0.37830 2.38551 0.90414 -0.139 -0.228 -0.516
Si 0.30703 -0.27759 -1.71317 -2.341 -0.015 2.765
Si -0.30923 -0.69306 1.67066 -0.101 -1.095 0.047
H -1.44377 0.46489 -0.25532 0.809 -0.215 0.805
H -0.66174 -1.47749 -2.09456 0.352 0.441 -0.027
H 1.38506 -1.07760 -1.40077 2.387 -1.059 -0.361
H -0.16827 0.66770 -2.65870 -0.095 0.581 -1.355
H -0.68103 -2.18133 1.38560 0.466 0.876 0.314
H 1.11741 -0.51268 2.11776 -0.413 -0.353 0.117
H -1.21492 -0.41098 2.89054 0.461 0.215 -0.843
```
Forces are in eV/Å.

Output
* DFT total energy: -809.8871 hartree
* Kohn-Sham gap: 0.3112 hartree
* HOMO energy: -0.1708 Ha
* molar mass: 119.2 g/mol
* spin multiplicity: 1
* total charge: -1

Results of the natural (NBO) charge analysis, in e, for atoms 1 through 4: atom 1 (C): 0.779, atom 2 (C): -1.223, atom 3 (O): -0.800, atom 4 (O): -0.704

=====

The lowest total charge belongs to which entry? C2H7O2Si2


The following is a DFT calculation (ωB97M-V/def2-TZVPD) of a structure of composition C5H10O2 at a distorted geometry.

Geometry as XYZ:
```
17
Properties=species:S:1:pos:R:3:forces:R:3
C -0.245 2.069 -1.075 -0.0836 0.1147 0.1743
C 0.127 0.602 -0.987 -0.2252 0.1460 0.2088
C 0.119 0.274 0.785 0.1358 0.1814 -0.6445
O -1.030 0.175 1.456 -0.1111 0.6527 -0.4976
C 0.663 -1.014 0.528 0.1456 -0.4222 0.3723
C -0.118 -2.144 0.001 -0.1099 -0.3021 -0.3427
O -1.095 -2.099 -0.710 0.3873 -0.0903 0.4287
H -0.341 2.389 -2.126 0.0401 -0.1796 0.3476
H -1.199 2.200 -0.563 0.0422 0.2804 -0.0969
H 0.520 2.683 -0.592 -0.1858 0.0700 -0.0660
H -0.602 -0.010 -1.526 0.0279 -0.0571 0.7138
H 1.087 0.455 -1.515 -0.0887 -0.1879 0.8552
H 0.877 0.956 1.209 -0.3051 0.1574 -0.3629
H -0.702 -0.818 2.077 -0.8567 1.0703 -0.3606
H -0.157 -1.544 2.253 1.2020 -0.6755 -0.6067
H 1.739 -1.098 0.451 0.2036 -0.2703 0.0318
H 0.357 -3.077 0.332 -0.2186 -0.4882 -0.1546
```
Forces are in eV/Å.

Computed properties:
**Energy relative to the best compared isomer or geometry (same formula, charge and spin)**: 149.77 kcal/mol
**Frontier orbital gap (spin up / spin down)**: 8.538 / 8.539 eV
**Charge**: 0
**Molar mass**: 102.1 g/mol
**E**: -346.7868 Eh

Results of the Mulliken charge analysis, in e, for atoms 1 through 2: number 1, C, carries -1.1986; number 2, C, carries -0.5321

The following is a DFT calculation (ωB97M-V/def2-TZVPD) of the molecule C16H17N3O.

Geometry as XYZ:
```
37
Properties=species:S:1:pos:R:3:forces:R:3
O -1.167 -2.792 1.378 0.2237 -0.2986 0.4159
C -1.336 -1.945 0.525 -0.2877 0.0273 -0.3537
N -0.626 -1.893 -0.641 -0.0926 0.0367 -0.2585
C 0.663 -2.548 -0.738 0.0445 -0.0138 0.0898
C 1.763 -1.592 -0.355 0.1087 0.0037 0.0002
C 2.003 -1.290 0.981 0.1209 0.0527 -0.0921
C 2.982 -0.363 1.295 -0.0255 -0.1118 -0.0929
C 3.680 0.234 0.256 0.0795 -0.0140 0.2437
- - -

No. 1
A 2-piece molecular cluster, C2H2IN overall at a distorted geometry. Source: OMol25; level of theory: ωB97M-V/def2-TZVPD.

The geometry in XYZ format:
```
6
Properties=species:S:1:pos:R:3:forces:R:3
C -0.84409 -1.01220 0.10024 0.000 1.530 0.886
C -0.61765 0.32528 -0.14406 1.872 -2.582 -6.068
N -1.12082 -2.06394 0.46214 -0.298 -1.732 0.151
I 3.54292 1.21562 0.32923 -0.841 -0.217 -0.092
H -0.58982 1.05296 0.53822 -0.118 2.657 2.565
H -0.37054 0.48228 -1.28577 -0.615 0.344 2.558
```
Forces are in eV/Å.

Output
* DFT total energy: -429.6814 hartree
* Kohn-Sham gap (spin up / spin down): 0.1352 / 0.1350 hartree
* HOMO energy (spin up / spin down): -0.3091 / -0.3088 Ha
* molar mass: 166.9 g/mol
* spin multiplicity: 1
* total charge: 0

Results of the natural (NBO) charge analysis, in e, for atoms 1 through 4: atom 1 (C): 0.150, atom 2 (C): -0.231, atom 3 (N): -0.166, atom 4 (I): -0.236

=====

No. 2
C2H7O2Si2 as an isolated structure at a distorted geometry. Source: OMol25; level of theory: ωB97M-V/def2-TZVPD.

The geometry in XYZ format:
```
13
Properties=species:S:1:pos:R:3:forces:R:3
C 0.42026 1.50084 0.04754 1.260 -0.292 0.234
C -0.38274 0.20507 0.06817 -2.060 0.919 -1.517
O 1.25362 1.40671 -0.96189 -0.587 0.225 0.337
O 0.37830 2.38551 0.90414 -0.139 -0.228 -0.516
Si 0.30703 -0.27759 -1.71317 -2.341 -0.015 2.765
Si -0.30923 -0.69306 1.67066 -0.101 -1.095 0.047
H -1.44377 0.46489 -0.25532 0.809 -0.215 0.805
H -0.66174 -1.47749 -2.09456 0.352 0.441 -0.027
H 1.38506 -1.07760 -1.40077 2.387 -1.059 -0.361
H -0.16827 0.66770 -2.65870 -0.095 0.581 -1.355
H -0.68103 -2.18133 1.38560 0.466 0.876 0.314
H 1.11741 -0.51268 2.11776 -0.413 -0.353 0.117
H -1.21492 -0.41098 2.89054 0.461 0.215 -0.843
```
Forces are in eV/Å.

Output
* DFT total energy: -809.8871 hartree
* Kohn-Sham gap: 0.3112 hartree
* HOMO energy: -0.1708 Ha
* molar mass: 119.2 g/mol
* spin multiplicity: 1
* total charge: -1

Results of the natural (NBO) charge analysis, in e, for atoms 1 through 4: atom 1 (C): 0.779, atom 2 (C): -1.223, atom 3 (O): -0.800, atom 4 (O): -0.704

=====

The lowest total charge belongs to which entry? C2H7O2Si2


The following is a DFT calculation (ωB97M-V/def2-TZVPD) of a structure of composition C5H10O2 at a distorted geometry.

Geometry as XYZ:
```
17
Properties=species:S:1:pos:R:3:forces:R:3
C -0.245 2.069 -1.075 -0.0836 0.1147 0.1743
C 0.127 0.602 -0.987 -0.2252 0.1460 0.2088
C 0.119 0.274 0.785 0.1358 0.1814 -0.6445
O -1.030 0.175 1.456 -0.1111 0.6527 -0.4976
C 0.663 -1.014 0.528 0.1456 -0.4222 0.3723
C -0.118 -2.144 0.001 -0.1099 -0.3021 -0.3427
O -1.095 -2.099 -0.710 0.3873 -0.0903 0.4287
H -0.341 2.389 -2.126 0.0401 -0.1796 0.3476
H -1.199 2.200 -0.563 0.0422 0.2804 -0.0969
H 0.520 2.683 -0.592 -0.1858 0.0700 -0.0660
H -0.602 -0.010 -1.526 0.0279 -0.0571 0.7138
H 1.087 0.455 -1.515 -0.0887 -0.1879 0.8552
H 0.877 0.956 1.209 -0.3051 0.1574 -0.3629
H -0.702 -0.818 2.077 -0.8567 1.0703 -0.3606
H -0.157 -1.544 2.253 1.2020 -0.6755 -0.6067
H 1.739 -1.098 0.451 0.2036 -0.2703 0.0318
H 0.357 -3.077 0.332 -0.2186 -0.4882 -0.1546
```
Forces are in eV/Å.

Computed properties:
**Energy relative to the best compared isomer or geometry (same formula, charge and spin)**: 149.77 kcal/mol
**Frontier orbital gap (spin up / spin down)**: 8.538 / 8.539 eV
**Charge**: 0
**Molar mass**: 102.1 g/mol
**E**: -346.7868 Eh

Results of the Mulliken charge analysis, in e, for atoms 1 through 2: number 1, C, carries -1.1986; number 2, C, carries -0.5321

The following is a DFT calculation (ωB97M-V/def2-TZVPD) of the molecule C16H17N3O.

Geometry as XYZ:
```
37
Properties=species:S:1:pos:R:3:forces:R:3
O -1.167 -2.792 1.378 0.2237 -0.2986 0.4159
C -1.336 -1.945 0.525 -0.2877 0.0273 -0.3537
N -0.626 -1.893 -0.641 -0.0926 0.0367 -0.2585
C 0.663 -2.548 -0.738 0.0445 -0.0138 0.0898
C 1.763 -1.592 -0.355 0.1087 0.0037 0.0002
C 2.003 -1.290 0.981 0.1209 0.0527 -0.0921
C 2.982 -0.363 1.295 -0.0255 -0.1118 -0.0929
C 3.680 0.234 0.256 0.0795 -0.0140 0.2437